Your job: duplicate only the last part of the calculation results below, starting with the line that has "0.2682 -0.30".

........
Entry 1:
A cluster of 9 separate species, C38H68BrN12O6 in total, computed with ωB97M-V with the def2-TZVPD basis set.

Properties
spin multiplicity: 1
total charge: +3
frontier orbital gap: 8.431 eV
ΔE to the lowest compared entry with this formula, charge and spin: 0.0 kJ/mol

The geometry in XYZ format:
```
125
Properties=species:S:1:pos:R:3:mulliken_charge:R:1
C -4.0905 -6.9530 -6.6769 -1.11
C -4.0159 -7.2407 -5.2150 -0.52
N -4.0358 -5.9873 -4.4422 0.12
C -2.8689 -5.3851 -4.0073 -0.69
C -3.1965 -4.2650 -3.3959 0.03
N -4.6026 -4.1236 -3.5284 0.19
C -5.0248 -5.2075 -4.1695 0.00
C -5.3384 -2.9135 -3.1431 -0.55
H -4.9448 -6.4107 -7.0054 0.37
H -4.0539 -7.8932 -7.2056 0.39
H -3.2522 -6.3763 -7.0997 0.33
H -3.0573 -7.7352 -4.9340 0.28
H -4.8012 -7.8324 -4.8311 0.37
H -1.8542 -5.8118 -4.1410 0.38
H -2.5774 -3.4666 -2.9609 0.27
H -6.0278 -5.2702 -4.4911 0.47
H -6.0668 -3.0407 -2.3996 0.30
H -5.7254 -2.5992 -4.1020 0.41
H -4.5375 -2.2897 -2.8681 0.03
C -6.0252 4.4233 3.1675 -1.05
C -6.6321 3.2098 2.4344 -0.37
N -5.7713 2.6433 1.4091 0.19
C -4.4833 2.2126 1.6394 -1.06
C -4.0974 1.5248 0.5207 -0.34
N -5.1128 1.7373 -0.4359 0.25
C -6.0256 2.4981 0.1258 0.09
C -5.0303 1.3531 -1.8482 -0.37
H -4.9356 4.5154 3.0245 0.34
H -6.2738 4.3383 4.2407 0.30
H -6.3637 5.3562 2.8045 0.35
H -7.6528 3.4463 1.9348 0.29
H -6.8348 2.3710 3.1116 0.34
H -3.9784 2.2427 2.6057 0.51
H -3.2275 0.9738 0.2089 0.64
H -6.9494 2.8019 -0.4415 0.34
H -4.5631 2.1828 -2.3932 0.28
H -6.0393 1.1355 -2.1498 0.32
H -4.4340 0.4316 -2.0369 0.05
C 2.9436 5.7730 0.6598 -0.58
C 4.1339 6.6718 0.2682 -0.30
N 5.2792 6.3428 1.0754 0.23
C 5.6740 5.0174 1.2271 0.00
C 6.8133 5.0727 1.9478 -0.82
N 7.0570 6.4280 2.2865 0.11
C 6.0565 7.1388 1.8376 0.12
C 8.1694 6.9268 3.1339 -0.84
H 2.1348 5.8306 -0.0794 0.37
H 2.6787 6.0143 1.7066 0.32
H 3.1552 4.7137 0.6477 -0.23
H 3.8178 7.7075 0.5421 0.30
H 4.3851 6.5605 -0.8078 0.29
H 5.0753 4.1464 0.9833 0.33
H 7.4140 4.2796 2.3928 0.42
H 5.8993 8.2076 1.9798 0.37
H 9.0903 6.9432 2.5808 0.32
H 8.1513 6.2745 4.0305 0.34
H 8.0182 7.9371 3.5690 0.33
C 4.5582 -1.5153 -0.7384 -1.30
C 3.4087 -1.0537 0.1265 0.63
N 3.5743 -1.0591 1.5906 0.58
C 3.6693 -2.1160 2.4251 -0.11
C 3.6171 -1.6109 3.6929 -0.97
N 3.4616 -0.2696 3.5903 0.32
C 3.4471 0.0473 2.3156 -0.74
C 3.2157 0.7422 4.6462 -0.77
H 4.7322 -2.5800 -0.6229 0.40
H 5.4345 -0.8467 -0.6353 0.34
H 4.1489 -1.3862 -1.7588 0.32
H 2.5039 -1.6753 -0.1833 0.05
H 3.0977 -0.0296 -0.2200 -0.44
H 3.8247 -3.1185 2.0774 0.56
H 3.7713 -2.1208 4.5616 0.61
H 3.2149 0.9957 1.8752 0.39
H 2.1296 0.8788 4.6916 0.30
H 3.6923 1.6610 4.4064 0.29
H 3.5935 0.2342 5.5699 0.32
C 1.2277 -0.5964 -3.3445 -1.12
C 0.6368 0.5787 -2.5623 2.00
N 0.5900 1.8035 -3.3518 0.40
C 1.4126 2.8607 -3.3432 -0.20
C 1.1063 3.7283 -4.3699 -0.88
N 0.0360 3.1520 -4.9711 0.17
C -0.2617 2.0326 -4.3656 -0.07
C -0.6182 3.5492 -6.1726 -0.85
H 0.5396 -1.0440 -4.1194 0.33
H 1.2968 -1.4294 -2.6413 0.31
H 2.2281 -0.4657 -3.8498 0.32
H 1.3198 0.8707 -1.7091 -1.06
H -0.3077 0.3559 -2.0731 -0.56
H 2.2506 2.9156 -2.6887 0.53
H 1.5733 4.7173 -4.6158 0.40
H -1.0899 1.4076 -4.6892 0.38
H -1.4872 2.8923 -6.4507 0.28
H 0.1142 3.5073 -6.9656 0.38
H -1.0469 4.5210 -6.1338 0.35
C 0.3903 -7.2172 6.1733 -1.11
C -0.6829 -6.4324 5.4278 -0.44
N -0.3026 -5.1594 4.7899 0.10
C 0.1690 -3.9960 5.3550 -0.70
C 0.1633 -3.0662 4.3489 -0.26
N -0.3174 -3.6722 3.2017 0.34
C -0.5888 -4.9314 3.4950 -0.05
C -0.5409 -3.0035 1.9534 -0.72
H 0.0038 -8.0808 6.7015 0.38
H 0.7831 -6.6185 7.0180 0.30
H 1.1661 -7.3709 5.4139 0.32
H -1.6006 -6.3303 6.0319 0.39
H -0.9971 -6.9670 4.5861 0.28
H 0.5937 -3.9216 6.2798 0.48
H 0.2972 -1.9762 4.3131 0.41
H -0.8054 -5.6302 2.7438 0.39
H 0.4409 -2.9365 1.5199 0.37
H -0.9602 -2.0118 2.1428 0.09
H -1.1456 -3.6715 1.3056 0.24
Br -0.0167 0.4227 2.7808 -0.72
O 1.8185 1.9681 -0.0236 -0.24
C 3.2172 2.3681 -0.1172 0.95
O 3.6961 2.3955 -1.2843 -0.83
O 3.7795 2.5876 0.9587 -1.06
H 1.6759 1.8175 0.9366 0.08
O -1.8416 -0.3527 -0.6799 -0.06
C -2.2350 -1.2468 -1.6265 0.77
........

C 4.1339 6.6718 0.2682 -0.30
N 5.2792 6.3428 1.0754 0.23
C 5.6740 5.0174 1.2271 0.00
C 6.8133 5.0727 1.9478 -0.82
N 7.0570 6.4280 2.2865 0.11
C 6.0565 7.1388 1.8376 0.12
C 8.1694 6.9268 3.1339 -0.84
H 2.1348 5.8306 -0.0794 0.37
H 2.6787 6.0143 1.7066 0.32
H 3.1552 4.7137 0.6477 -0.23
H 3.8178 7.7075 0.5421 0.30
H 4.3851 6.5605 -0.8078 0.29
H 5.0753 4.1464 0.9833 0.33
H 7.4140 4.2796 2.3928 0.42
H 5.8993 8.2076 1.9798 0.37
H 9.0903 6.9432 2.5808 0.32
H 8.1513 6.2745 4.0305 0.34
H 8.0182 7.9371 3.5690 0.33
C 4.5582 -1.5153 -0.7384 -1.30
C 3.4087 -1.0537 0.1265 0.63
N 3.5743 -1.0591 1.5906 0.58
C 3.6693 -2.1160 2.4251 -0.11
C 3.6171 -1.6109 3.6929 -0.97
N 3.4616 -0.2696 3.5903 0.32
C 3.4471 0.0473 2.3156 -0.74
C 3.2157 0.7422 4.6462 -0.77
H 4.7322 -2.5800 -0.6229 0.40
H 5.4345 -0.8467 -0.6353 0.34
H 4.1489 -1.3862 -1.7588 0.32
H 2.5039 -1.6753 -0.1833 0.05
H 3.0977 -0.0296 -0.2200 -0.44
H 3.8247 -3.1185 2.0774 0.56
H 3.7713 -2.1208 4.5616 0.61
H 3.2149 0.9957 1.8752 0.39
H 2.1296 0.8788 4.6916 0.30
H 3.6923 1.6610 4.4064 0.29
H 3.5935 0.2342 5.5699 0.32
C 1.2277 -0.5964 -3.3445 -1.12
C 0.6368 0.5787 -2.5623 2.00
N 0.5900 1.8035 -3.3518 0.40
C 1.4126 2.8607 -3.3432 -0.20
C 1.1063 3.7283 -4.3699 -0.88
N 0.0360 3.1520 -4.9711 0.17
C -0.2617 2.0326 -4.3656 -0.07
C -0.6182 3.5492 -6.1726 -0.85
H 0.5396 -1.0440 -4.1194 0.33
H 1.2968 -1.4294 -2.6413 0.31
H 2.2281 -0.4657 -3.8498 0.32
H 1.3198 0.8707 -1.7091 -1.06
H -0.3077 0.3559 -2.0731 -0.56
H 2.2506 2.9156 -2.6887 0.53
H 1.5733 4.7173 -4.6158 0.40
H -1.0899 1.4076 -4.6892 0.38
H -1.4872 2.8923 -6.4507 0.28
H 0.1142 3.5073 -6.9656 0.38
H -1.0469 4.5210 -6.1338 0.35
C 0.3903 -7.2172 6.1733 -1.11
C -0.6829 -6.4324 5.4278 -0.44
N -0.3026 -5.1594 4.7899 0.10
C 0.1690 -3.9960 5.3550 -0.70
C 0.1633 -3.0662 4.3489 -0.26
N -0.3174 -3.6722 3.2017 0.34
C -0.5888 -4.9314 3.4950 -0.05
C -0.5409 -3.0035 1.9534 -0.72
H 0.0038 -8.0808 6.7015 0.38
H 0.7831 -6.6185 7.0180 0.30
H 1.1661 -7.3709 5.4139 0.32
H -1.6006 -6.3303 6.0319 0.39
H -0.9971 -6.9670 4.5861 0.28
H 0.5937 -3.9216 6.2798 0.48
H 0.2972 -1.9762 4.3131 0.41
H -0.8054 -5.6302 2.7438 0.39
H 0.4409 -2.9365 1.5199 0.37
H -0.9602 -2.0118 2.1428 0.09
H -1.1456 -3.6715 1.3056 0.24
Br -0.0167 0.4227 2.7808 -0.72
O 1.8185 1.9681 -0.0236 -0.24
C 3.2172 2.3681 -0.1172 0.95
O 3.6961 2.3955 -1.2843 -0.83
O 3.7795 2.5876 0.9587 -1.06
H 1.6759 1.8175 0.9366 0.08
O -1.8416 -0.3527 -0.6799 -0.06
C -2.2350 -1.2468 -1.6265 0.77